I was looking at my blog today and I realized I have been slacking off a bit when it comes to making updates.
So I am going to correct this.
First, What have I been doing?
Well, between working my regular day job, my two main side projects, family, and just life in general, there hasn't been much time for blogging.
With this post I intend to do the following:
- Update my status on my side projects
- Identify future topics
- Document my latest "eureka" moment. (More of a "duh" moment really)
Pain Logger
Pain Logger is my main mobile app.
I have two versions on Apple's app store, a free version, with limited functionality, and a paid version.
Both apps were written in Objective-C and I have been extremely busy rewriting the paid version entirely in Swift.
If I had to choose to do this over, I would have advised myself not to rewrite the entire app.
But, here I am, and I am finally starting to see the light at the end of the tunnel, or the on-coming train, I'm not sure which.
Molecular data, kept here for reference >
********
Record 1
Formula: C5H14
Source: the OMol25 dataset
Level of theory: the ωB97M-V functional and the def2-TZVPD basis

Cartesian coordinates (Å):
C 0.02 2.33 -0.65
C -0.31 2.55 0.84
C -0.77 -0.83 0.00
C 0.50 -1.52 -0.55
C 0.65 -2.89 0.04
H -0.30 -3.36 0.29
H 0.40 3.19 -1.18
H 1.46 -0.93 -0.22
H -1.14 1.98 1.22
H -0.91 2.04 -1.15
H 0.81 1.62 -0.69
H 0.92 -2.71 1.13
H -0.55 3.61 0.88
H 0.69 -1.41 -1.63
H 0.55 2.22 1.51
H -1.49 -1.61 0.20
H -1.33 -0.33 -0.77
H 1.39 -3.63 -0.27
H -0.60 -0.33 1.02

As for the SMILES: CCC.CC. The calculation puts the relative energy (zero: lowest compared OMol25 entry of this formula, charge and spin) at 28.1 kcal/mol. The HOMO-LUMO gap comes out at 11.8 eV. For the HOMO energy, the calculation gives -10.7 eV.

These are the natural (NBO) partial charges, in e, on atoms 1 to 2:
1. C -0.611
2. C -0.613

***

Record 2
Formula: C12H18B3Cl27FNO3
Source: the OMol25 dataset
Level of theory: the ωB97M-V functional and the def2-TZVPD basis

Cartesian coordinates (Å):
Cl -1.13 -3.71 1.71
Cl 6.61 7.11 0.36
Cl 6.97 4.23 0.52
Cl -6.01 2.01 5.09
Cl 2.72 3.69 -2.82
Cl -1.95 -5.84 -0.09
Cl 3.14 -7.16 -1.53
Cl 1.17 -5.05 -1.85
Cl -4.77 4.73 1.16
Cl -3.79 2.07 1.78
Cl 4.28 -9.39 -4.32
Cl 1.65 -10.55 -3.90
Cl 5.85 -3.07 1.79
Cl 3.73 -3.50 -0.18
Cl -0.33 -6.45 2.23
Cl -3.45 7.64 4.27
Cl -6.94 4.70 4.51
Cl 3.97 -12.27 -4.19
Cl -1.13 6.11 5.11
Cl 1.40 5.97 -4.03
Cl -4.45 4.30 5.96
Cl 6.17 5.46 -1.99
Cl 1.83 -6.77 -4.10
Cl 2.58 6.20 -1.38
Cl 3.34 -1.61 1.98
Cl -2.22 4.40 2.50
Cl -1.87 8.53 6.54
F -4.08 0.83 -2.42
O -1.75 2.21 -1.38
O -1.24 0.31 -0.05
O 0.52 1.69 -0.84
N 1.43 -0.98 -2.07
C -1.59 -5.41 1.58
C 6.06 5.54 -0.23
C 1.66 -6.68 -2.35
C 4.11 -3.13 1.50
C -2.46 7.14 5.64
C -3.33 3.72 1.32
C 1.00 -0.86 -0.65
C -3.26 0.07 -1.59
C 3.22 -10.75 -4.67
C 2.71 5.44 -2.97
C -4.11 -0.60 -0.49
C -5.53 3.66 4.71
B -0.39 2.38 -1.62
B -2.08 0.92 -0.98
B 0.10 0.41 -0.47
H -0.05 3.07 -2.53
H 1.55 -1.97 -2.28
H -4.07 -1.68 -0.52
H -3.09 6.55 6.30
H -2.49 -5.56 2.17
H -5.14 -0.26 -0.62
H 3.70 -3.92 2.11
H 3.65 5.75 -3.41
H 3.06 -10.78 -5.74
H 5.02 5.43 0.04
H 0.88 -7.36 -2.05
H -2.83 3.67 0.36
H 0.68 -0.70 -2.69
H -2.80 -0.71 -2.21
H -3.74 -0.26 0.48
H 1.89 -0.84 -0.01
H -4.99 3.65 3.78
H 0.41 -1.73 -0.33

As for the SMILES: C[C@@H](F)B1OBOB(CN)O1.ClC(Cl)Cl.ClC(Cl)Cl.ClC(Cl)Cl.ClC(Cl)Cl.ClC(Cl)Cl.ClC(Cl)Cl.ClC(Cl)Cl.ClC(Cl)Cl.ClC(Cl)Cl. The HOMO-LUMO gap comes out at 9.9 eV. For the HOMO energy, the calculation gives -9.7 eV.

These are the natural (NBO) partial charges, in e, on atoms 1 to 2:
1. Cl 0.023
2. Cl 0.022

***

Record 3
Formula: C5H19NO5
Source: the OMol25 dataset
Level of theory: the ωB97M-V functional and the def2-TZVPD basis

Cartesian coordinates (Å):
O -1.78 3.07 0.58
O -2.92 -0.15 1.90
O -2.57 1.85 -1.97
O -0.51 0.66 2.95
O 3.45 3.14 0.36
N -2.14 -1.34 -1.20
C 1.48 -2.51 -1.01
C 2.26 -1.49 -0.66
C 3.77 -1.62 -0.54
C 0.02 -2.38 -1.13
C -0.79 -1.32 -0.89
H 1.80 -3.53 -1.12
H 1.88 -0.48 -0.54
H 4.21 -1.23 -1.46
H -3.06 -0.20 0.95
********
I'm still struggling about what to do with the free version and how to or if I should merge the two code bases.
Be (we actually spell it with a lower case 'b', don't ask me why, that was the CEO's idea) is an application I have been working on with a small team for the past few months.
We are still in the prototype phase.
I am primarily responsible for the server side and the web client.
We are still a ways off from release, but things are moving forward and I have learned a lot from the project.
My latest effort on this project has been building an administrative portal and separating the web client from it's integration with Rails' sprockets.
Future Posts
With football (that is American Football for those outside the US) season rapidly approaching, to say I will be distracted is an understatement.
But I figure, I can do a lot of blogging while watching football.
Over the next few weeks I plan to talk about the following topics/experiences:
- How I implemented theming in Pain Logger
- The sync solution I used for Pain Logger
- My experience in converting 'be' to a NodeJS build tool chain from Rails sprockets
- The homegrown 'Flux' implementation I used for Pain Logger
My latest hurdle
Finally, I want to talk about one of those 'duh' moments I had recently.
You know the story, you find a problem, you look at your code, you say to yourself 'this couldn't possibly failing', yet it is.
So here goes.
One of the new features I am adding to Pain Logger is support for GeoFencing.
Yeah, if you are thinking to yourself this crazy idiot just said he was rewriting his app in Swift and now he is also adding new features at the same time, HAS HE LOST HIS MIND!!!!???
You would be right.
In fact this isn't the only new feature I am adding to Pain Logger.
Looking back now, and recognizing I still haven't got the update out, is a pretty good indicator this was A VERY BAD IDEA.
Anyway, I digress.
It was fairly simple to get Geofencing going, from a coding point of view but testing was something different.
When I first deployed it on my iPad everything was fine. It worked perfectly, but on my iPhone, it didn't work. What!?
I tried a TON of different things, including deleting and reinstalling the app, turning cellular data on and off, and changing any setting I thought that might possibly be affecting this on my phone.
But to no avail.
I can't even begin to enumerate the amount of logging I added to the app to see what was going on.
No matter what I tried, my iPad (wifi only) would work, even when I wasn't connected to a network, and my cell phone, which is always connected, would not.
So I began 'googling'.
Eventually, after spending a lot of time on Stack Overflow I took a different tact and said 'If I was a user having this problem, how would I search for an answer?"
I really thought I was headed to the "Genius" bar.
That line of thought led me to an Apple support post and the ultimate solution.
It turns out there was one more setting (shocking I know :-/) that I hadn't changed nor had I run across.
It is found under Settings->Privacy->Location Services->System Services.
You have turn on Location-Based Alerts.
One of the reasons this was so hard to find for me was that the "System Services" option is found at the bottom of the list of ALL of the apps you have installed.
One would have thought a standard option that is never removed would have been found first in the list, but nope.
Yeah, it makes sense now, and how this setting ever got turned off, I'll never know but another speed bump overcome, even if it was stupidity on my part.
Till next time.